**Request**
The reader should write out everything further below verbatim.

**Input**
- - -
1.
{"formula": "C3H4N3", "method": "wB97M-V/def2-TZVPD", "species": ["C", "C", "C", "N", "N", "N", "H", "H", "H", "H"], "positions_angstrom": [[1.06, -0.91, 1.36], [-0.33, -0.16, 0.27], [-0.40, 0.99, -0.66], [1.46, -1.67, 0.39], [0.58, -1.29, -0.39], [0.19, 0.01, 1.59], [-1.33, -0.67, 0.27], [0.58, 1.18, -1.24], [-0.74, 1.80, -0.18], [-1.08, 0.72, -1.42]], "nbo_charge": [0.735, 0.018, -0.614, -0.125, 0.128, -0.245, 0.313, 0.262, 0.260, 0.269], "largest_force_ev_per_a": 8.42, "orbital_gap_ha": 0.331, "e_above_lowest_ev": 4.499, "e_homo_ev": -17.19, "charge": 1}

---

2.
{"formula": "C3H4N3", "method": "wB97M-V/def2-TZVPD", "species": ["C", "N", "C", "N", "N", "C", "H", "H", "H", "H"], "positions_angstrom": [[-1.60, 0.13, -0.06], [-1.09, -1.08, -0.16], [0.18, -0.90, 0.15], [0.46, 0.45, 0.51], [-0.63, 1.07, 0.14], [1.57, -0.60, -0.11], [-2.59, 0.25, -0.22], [-0.68, 2.14, 0.23], [2.27, -0.68, 0.66], [2.10, -0.78, -1.14]], "nbo_charge": [0.299, -0.374, 0.383, -0.153, -0.308, -0.118, 0.246, 0.480, 0.265, 0.280], "largest_force_ev_per_a": 3.93, "orbital_gap_ha": 0.402, "e_above_lowest_ev": 1.677, "smiles": "c1nc2[n+]([nH]1)C2", "e_homo_ev": -16.31, "charge": 1}

---

3.
{"formula": "C3H4N3O2S", "method": "wB97M-V/def2-TZVPD", "species": ["C", "C", "C", "N", "N", "N", "O", "O", "S", "H", "H", "H", "H"], "positions_angstrom": [[1.76, -0.19, 0.28], [2.66, -0.26, 1.38], [-0.65, 0.10, 0.17], [1.96, -0.20, 2.52], [0.66, -0.10, 2.22], [0.57, -0.02, 0.85], [4.47, -1.64, 0.24], [4.79, 0.78, 0.37], [4.52, -0.44, 1.20], [1.96, -0.43, -0.74], [-1.39, 0.49, 0.99], [-0.61, 0.63, -0.82], [-1.05, -0.91, -0.26]], "nbo_charge": [-0.079, -0.136, -0.415, -0.266, -0.143, -0.196, -1.063, -1.049, 1.476, 0.233, 0.233, 0.216, 0.189], "largest_force_ev_per_a": 3.49, "orbital_gap_ha": 0.258, "e_above_lowest_ev": 2.057, "e_homo_ev": -3.75, "charge": -1}

---

4.
{"formula": "C3H4N3O2S", "method": "wB97M-V/def2-TZVPD", "species": ["O", "N", "O", "N", "C", "N", "C", "C", "S", "H", "H", "H", "H"], "positions_angstrom": [[-3.29, -0.78, 2.05], [-2.51, -0.57, 1.13], [-2.79, -0.82, -0.09], [-1.41, 0.03, 1.48], [-0.47, 0.18, 0.61], [0.77, 0.98, 0.87], [1.57, 0.89, -0.34], [1.28, -0.44, -1.12], [-0.59, -0.56, -0.94], [2.60, 1.13, -0.08], [1.29, 1.71, -1.03], [1.86, -0.54, -2.10], [1.70, -1.21, -0.44]], "nbo_charge": [-0.453, 0.602, -0.509, -0.426, 0.206, -0.579, -0.252, -0.572, 0.263, 0.181, 0.140, 0.210, 0.189], "largest_force_ev_per_a": 6.96, "orbital_gap_ha": 0.267, "e_above_lowest_ev": 4.194, "smiles": "[O-][N+]([O-])=NC1=NCCS1", "e_homo_ev": -3.76, "charge": -1}

---

5.
{"formula": "C3H4N3O3", "method": "wB97M-V/def2-TZVPD", "species": ["C", "C", "C", "N", "N", "N", "O", "O", "O", "H", "H", "H", "H"], "positions_angstrom": [[-0.83, -1.21, -0.42], [-2.02, 0.89, -0.04], [1.30, 0.65, 0.04], [-1.76, -0.44, -0.77], [0.26, -1.41, 0.61], [1.30, -0.69, 0.49], [-0.21, -2.23, -0.84], [-2.40, 0.75, 1.11], [-1.72, 1.84, -0.68], [1.78, 1.32, 0.76], [1.82, 0.65, -0.91], [0.29, 0.98, -0.21], [2.21, -1.11, 0.87]], "nbo_charge": [0.638, 0.867, -0.460, -0.602, -0.068, -0.344, -0.537, -0.760, -0.746, 0.194, 0.184, 0.278, 0.355], "largest_force_ev_per_a": 3.89, "orbital_gap_ha": 0.284, "e_above_lowest_ev": 1.779, "e_homo_ev": -4.15, "charge": -1}

---

6.
{"formula": "C3H4N3OS", "method": "wB97M-V/def2-TZVPD", "species": ["C", "C", "C", "N", "N", "N", "O", "S", "H", "H", "H", "H"], "positions_angstrom": [[-1.75, 0.51, 0.98], [-1.62, -1.78, 0.12], [0.27, -0.36, -0.05], [-2.99, 0.89, 0.80], [-1.10, -0.62, 0.40], [-3.93, 0.04, 0.41], [-1.00, -2.64, -0.43], [-5.14, 0.17, -0.56], [-1.24, 1.32, 1.43], [0.50, 0.63, -0.26], [1.09, -0.75, 0.63], [0.46, -0.93, -0.96]], "nbo_charge": [0.051, 0.632, -0.416, -0.247, -0.504, -0.547, -0.614, -0.124, 0.173, 0.199, 0.179, 0.218], "largest_force_ev_per_a": 4.51, "orbital_gap_ha": [0.200, 0.215], "e_above_lowest_ev": 2.793, "e_homo_ev": [-1.91, -2.27], "charge": -1}

---

7.
- - -

**Done**
1.
{"formula": "C3H4N3", "method": "wB97M-V/def2-TZVPD", "species": ["C", "C", "C", "N", "N", "N", "H", "H", "H", "H"], "positions_angstrom": [[1.06, -0.91, 1.36], [-0.33, -0.16, 0.27], [-0.40, 0.99, -0.66], [1.46, -1.67, 0.39], [0.58, -1.29, -0.39], [0.19, 0.01, 1.59], [-1.33, -0.67, 0.27], [0.58, 1.18, -1.24], [-0.74, 1.80, -0.18], [-1.08, 0.72, -1.42]], "nbo_charge": [0.735, 0.018, -0.614, -0.125, 0.128, -0.245, 0.313, 0.262, 0.260, 0.269], "largest_force_ev_per_a": 8.42, "orbital_gap_ha": 0.331, "e_above_lowest_ev": 4.499, "e_homo_ev": -17.19, "charge": 1}

---

2.
{"formula": "C3H4N3", "method": "wB97M-V/def2-TZVPD", "species": ["C", "N", "C", "N", "N", "C", "H", "H", "H", "H"], "positions_angstrom": [[-1.60, 0.13, -0.06], [-1.09, -1.08, -0.16], [0.18, -0.90, 0.15], [0.46, 0.45, 0.51], [-0.63, 1.07, 0.14], [1.57, -0.60, -0.11], [-2.59, 0.25, -0.22], [-0.68, 2.14, 0.23], [2.27, -0.68, 0.66], [2.10, -0.78, -1.14]], "nbo_charge": [0.299, -0.374, 0.383, -0.153, -0.308, -0.118, 0.246, 0.480, 0.265, 0.280], "largest_force_ev_per_a": 3.93, "orbital_gap_ha": 0.402, "e_above_lowest_ev": 1.677, "smiles": "c1nc2[n+]([nH]1)C2", "e_homo_ev": -16.31, "charge": 1}

---

3.
{"formula": "C3H4N3O2S", "method": "wB97M-V/def2-TZVPD", "species": ["C", "C", "C", "N", "N", "N", "O", "O", "S", "H", "H", "H", "H"], "positions_angstrom": [[1.76, -0.19, 0.28], [2.66, -0.26, 1.38], [-0.65, 0.10, 0.17], [1.96, -0.20, 2.52], [0.66, -0.10, 2.22], [0.57, -0.02, 0.85], [4.47, -1.64, 0.24], [4.79, 0.78, 0.37], [4.52, -0.44, 1.20], [1.96, -0.43, -0.74], [-1.39, 0.49, 0.99], [-0.61, 0.63, -0.82], [-1.05, -0.91, -0.26]], "nbo_charge": [-0.079, -0.136, -0.415, -0.266, -0.143, -0.196, -1.063, -1.049, 1.476, 0.233, 0.233, 0.216, 0.189], "largest_force_ev_per_a": 3.49, "orbital_gap_ha": 0.258, "e_above_lowest_ev": 2.057, "e_homo_ev": -3.75, "charge": -1}

---

4.
{"formula": "C3H4N3O2S", "method": "wB97M-V/def2-TZVPD", "species": ["O", "N", "O", "N", "C", "N", "C", "C", "S", "H", "H", "H", "H"], "positions_angstrom": [[-3.29, -0.78, 2.05], [-2.51, -0.57, 1.13], [-2.79, -0.82, -0.09], [-1.41, 0.03, 1.48], [-0.47, 0.18, 0.61], [0.77, 0.98, 0.87], [1.57, 0.89, -0.34], [1.28, -0.44, -1.12], [-0.59, -0.56, -0.94], [2.60, 1.13, -0.08], [1.29, 1.71, -1.03], [1.86, -0.54, -2.10], [1.70, -1.21, -0.44]], "nbo_charge": [-0.453, 0.602, -0.509, -0.426, 0.206, -0.579, -0.252, -0.572, 0.263, 0.181, 0.140, 0.210, 0.189], "largest_force_ev_per_a": 6.96, "orbital_gap_ha": 0.267, "e_above_lowest_ev": 4.194, "smiles": "[O-][N+]([O-])=NC1=NCCS1", "e_homo_ev": -3.76, "charge": -1}

---

5.
{"formula": "C3H4N3O3", "method": "wB97M-V/def2-TZVPD", "species": ["C", "C", "C", "N", "N", "N", "O", "O", "O", "H", "H", "H", "H"], "positions_angstrom": [[-0.83, -1.21, -0.42], [-2.02, 0.89, -0.04], [1.30, 0.65, 0.04], [-1.76, -0.44, -0.77], [0.26, -1.41, 0.61], [1.30, -0.69, 0.49], [-0.21, -2.23, -0.84], [-2.40, 0.75, 1.11], [-1.72, 1.84, -0.68], [1.78, 1.32, 0.76], [1.82, 0.65, -0.91], [0.29, 0.98, -0.21], [2.21, -1.11, 0.87]], "nbo_charge": [0.638, 0.867, -0.460, -0.602, -0.068, -0.344, -0.537, -0.760, -0.746, 0.194, 0.184, 0.278, 0.355], "largest_force_ev_per_a": 3.89, "orbital_gap_ha": 0.284, "e_above_lowest_ev": 1.779, "e_homo_ev": -4.15, "charge": -1}

---

6.
{"formula": "C3H4N3OS", "method": "wB97M-V/def2-TZVPD", "species": ["C", "C", "C", "N", "N", "N", "O", "S", "H", "H", "H", "H"], "positions_angstrom": [[-1.75, 0.51, 0.98], [-1.62, -1.78, 0.12], [0.27, -0.36, -0.05], [-2.99, 0.89, 0.80], [-1.10, -0.62, 0.40], [-3.93, 0.04, 0.41], [-1.00, -2.64, -0.43], [-5.14, 0.17, -0.56], [-1.24, 1.32, 1.43], [0.50, 0.63, -0.26], [1.09, -0.75, 0.63], [0.46, -0.93, -0.96]], "nbo_charge": [0.051, 0.632, -0.416, -0.247, -0.504, -0.547, -0.614, -0.124, 0.173, 0.199, 0.179, 0.218], "largest_force_ev_per_a": 4.51, "orbital_gap_ha": [0.200, 0.215], "e_above_lowest_ev": 2.793, "e_homo_ev": [-1.91, -2.27], "charge": -1}

---

7.